I'm like Joel and are still vague on what these different settings are for.
I think I'm OK with the LMS Course Information "Identifier" - that it's a key value that the LMS uses to identify the course and that it shouldn't be changed if you are updating an existing course.
## Someone pasted calculated crystals at this point
********
(A)
Density functional theory data (PBE) for crystalline LaNb3Ru at its relaxed geometry.

## Properties
Total magnetization (μB/f.u.): 0.0

Lattice parameters (Å, degrees): 4.8121 4.8121 4.8121 90.00 90.00 90.00
Space group Pm-3m (No. 221)
Symmetry-distinct sites (fractional):
La: 0.0000 0.0000 0.0000
Nb: 0.0000 0.0000 0.5000
Ru: 0.5000 0.5000 0.5000

=====

(B)
Density functional theory data (PBE) for crystalline LaNb3Ru at its relaxed geometry.

## Properties
Total magnetization (μB/f.u.): 0.0

Lattice parameters (Å, degrees): 4.9259 4.9259 4.9259 90.00 90.00 90.00
Space group Pm-3m (No. 221)
Symmetry-distinct sites (fractional):
La: 0.0000 0.0000 0.0000
Nb: 0.0000 0.5000 0.5000
Ru: 0.5000 0.5000 0.5000

=====

What should be chosen as the most stable of them? Choose (B).

=====

(A)
Density functional theory data (PBE) for crystalline LaNbS3 at its relaxed geometry.

## Properties
Total magnetization (μB/f.u.): 0.0

Lattice parameters (Å, degrees): 4.7959 4.7959 4.7959 90.00 90.00 90.00
Space group Pm-3m (No. 221)
Symmetry-distinct sites (fractional):
La: 0.0000 0.0000 0.0000
Nb: 0.5000 0.5000 0.5000
S: 0.0000 0.5000 0.5000

=====

(B)
Density functional theory data (PBE) for crystalline LaNbS3 at its relaxed geometry.

## Properties
Total magnetization (μB/f.u.): 0.0

Lattice parameters (Å, degrees): 3.6007 5.8080 10.6534 91.71 99.66 90.08
Space group P-1 (No. 2)
Symmetry-distinct sites (fractional):
La: 0.0703 0.1779 0.1380
Nb: 0.2479 0.2922 0.4958
S: 0.1873 0.9043 0.3735
S: 0.3299 0.6101 0.6615
S: 0.4638 0.2277 0.9231

=====

What should be chosen as the most stable of them? Choose (B).

=====

(A)
Density functional theory data (PBE) for crystalline LaNbSb2 at its relaxed geometry.

## Properties
Total magnetization (μB/f.u.): 1.4

Lattice parameters (Å, degrees): 7.3744 7.3744 7.3744 90.00 90.00 90.00
Space group Fm-3m (No. 225)
Symmetry-distinct sites (fractional):
La: 0.0000 0.0000 0.0000
Nb: 0.0000 0.0000 0.5000
Sb: 0.2500 0.2500 0.2500

=====

(B)
Density functional theory data (PBE) for crystalline LaNbSb2 at its relaxed geometry.

## Properties
Total magnetization (μB/f.u.): 0.0

Lattice parameters (Å, degrees): 6.1502 6.1502 15.5382 90.00 90.00 90.00
Space group I-42d (No. 122)
Symmetry-distinct sites (fractional):
La: 0.0000 0.0000 0.0000
Nb: 0.0000 0.0000 0.5000
Sb: 0.1724 0.2500 0.6250

=====

What should be chosen as the most stable of them? Choose (A).

=====

(A)
Density functional theory data (PBE) for crystalline LaNbSb2Te at its relaxed geometry.

## Properties
Total magnetization (μB/f.u.): 0.0

Lattice parameters (Å, degrees): 5.3070 5.3070 5.6119 90.00 90.00 90.00
Space group P4/mmm (No. 123)
Symmetry-distinct sites (fractional):
La: 0.0000 0.0000 0.0000
Nb: 0.5000 0.5000 0.5000
Sb: 0.0000 0.5000 0.5000
Te: 0.5000 0.5000 0.0000

=====

(B)
Density functional theory data (PBE) for crystalline LaNbSb2Te at its relaxed geometry.

## Properties
Total magnetization (μB/f.u.): 2.9
********
Further to this identifier, I'd also like to know what might happen if two courses on the LMS share the same identifier - what might happen??? I ask because I often duplicate my Storyline files (because it makes for easy updated additional modules) and I noticed a while back that the Identifier number hadn't changed. I'm not sure how many courses I had previously uploaded to the LMS with the same Identifier number (before I noticed the number hadn't changed). Since discovering it, whenever I "duplicate" a course, I temporarily create a separate, new Storyline file and copy the identifier from it (then close it as unsaved) and paste it into the updated course. BTW, can this identifier value be ANYTHING unique or is there a special formula that must be used (in other words, can I only use values that are created by the Storyline's PUBLISH interface)? Could I use my own unique formula, like some initials and then a reverse date?
Feature request thought: Could the Storyline interface have a [Regenerate] button next to the LMS Course Information Identifier field so we can create a new key number? As a safeguard, you could add a warning message that pops up when pressed, saying not to change it the designer/developer is updating an existing course.
Now, as for the LMS Lesson SCORM Information fields, reading the above it sounds like you're saying that you can change the Title field in BOTH the Player Properties window AND the Publish window but ONLY the Player Settings Title field is displayed in the Learner's window? I just did a quick test and it seems that the Player Settings window TITLE field and the Publish Window's root level Title field (ie. not inside the "Reporting and Tracking" area) are synchronised, but the LMS Lesson SCORM Information field's Title field acts independently. When I set the Player Settings field to "ABC", the root level Publish window's Title field also changed to "ABC" (and same happens in reverse) and the published course reflected these values in the player area and the browser window's tab. But the Lesson SCORM Information's Title field seems independent - it doesn't change when you change either of the other Title fields... so WHAT IS THIS FIELD FOR????
And what is the Lesson SCORM Information Identifier field for???
Can this information be clearly provided in the HELP window when you press the (i) Learn More... button at the bottom-left of the window? That would be so helpful :)
Sorry, that was long and painful, but all the answers above are skirting around what these values clearly are for.